Next, filter the data below: keep the lines with the word "atom".
~~~
## one
# Li3MnVP3O12

An optimized crystal structure of Li3MnVP3O12 (PBE with a Hubbard U, the Materials Project database).

Cell lengths 11.8936, 16.8644, 17.1795 Å; angles 90.00, 90.00, 90.00 degrees
Closest atoms and distances in Å follow each position.
Space group Fddd (No. 70, origin choice 2)
One atom of each set of equivalent atoms:
Li 0.0043 0.0639 0.3116 x32  8 O 2.30-2.54
Li 0.1250 0.1250 0.1250 x8  8 O 2.37-2.53
Li 0.1250 0.1250 0.6250 x8  8 O 2.31-2.52
Mn 0.0000 0.0000 0.0000 x16  6 O 2.09-2.15
V 0.0000 0.0000 0.5000 x16  6 O 2.01-2.05
P 0.0020 0.0627 0.8122 x32  4 O 1.54-1.59
P 0.1241 0.3750 0.8750 x16  4 O 1.54-1.59
O 0.0398 0.3059 0.8523 x32  1 P 1.59
O 0.0461 0.3546 0.3070 x32  1 P 1.54
O 0.0471 0.3499 0.6947 x32  1 P 1.59
O 0.0500 0.0611 0.8954 x32  1 P 1.54
O 0.0868 0.0020 0.2045 x32  1 P 1.55
O 0.0933 0.0451 0.7470 x32  1 P 1.59

## two
# Li3MnVP3O12

An optimized crystal structure of Li3MnVP3O12 (PBE with a Hubbard U, the Materials Project database).

Cell lengths 9.8477, 9.8608, 9.9014 Å; angles 85.79, 87.77, 88.03 degrees
Closest atoms and distances in Å follow each position.
Space group P1 (No. 1)
One atom of each set of equivalent atoms:
Li 0.0000 0.0000 0.0000 x1  3 O 1.99-2.17
Li 0.0298 0.7489 0.1321 x1  3 O 1.92-1.98
Li 0.0959 0.0565 0.7367 x1  3 O 1.91-2.04
Li 0.1859 0.5733 0.6490 x1  3 O 1.91-2.04
Li 0.3160 0.7733 0.4415 x1  3 O 1.91-1.99
Li 0.4119 0.3587 0.7775 x1  3 O 1.94-2.17
Li 0.4750 0.4641 0.5018 x1  3 O 1.98-2.20
Li 0.5109 0.6569 0.2283 x1  3 O 1.91-2.08
Li 0.6834 0.1590 0.0592 x1  3 O 1.91-2.01
Li 0.7178 0.4299 0.3707 x1  3 O 1.90-1.95
Li 0.8108 0.9565 0.2673 x1  3 O 1.90-2.07
Li 0.8977 0.2832 0.8534 x1  3 O 1.92-2.04
Mn 0.4798 0.9896 0.7621 x1  5 O 1.91-2.07
Mn 0.7003 0.7747 0.7435 x1  4 O 1.92-2.00
Mn 0.9219 0.7546 0.5272 x1  5 O 1.92-2.14
Mn 0.9764 0.2618 0.4752 x1  3 O 1.92-2.08
V 0.1995 0.2644 0.2549 x1  6 O 2.01-2.03
V 0.2059 0.4886 0.0368 x1  6 O 1.99-2.10
V 0.4159 0.0498 0.2533 x1  6 O 1.96-2.11
V 0.7034 0.5571 0.9632 x1  6 O 1.98-2.10
P 0.0020 0.6998 0.8534 x1  4 O 1.52-1.62
P 0.0967 0.9641 0.3268 x1  4 O 1.54-1.58
P 0.1170 0.5596 0.3553 x1  4 O 1.53-1.60
P 0.2738 0.1760 0.9545 x1  4 O 1.52-1.61
P 0.3050 0.1884 0.5535 x1  4 O 1.51-1.61
P 0.4042 0.6657 0.8264 x1  4 O 1.53-1.62
P 0.5027 0.3693 0.1737 x1  4 O 1.53-1.59
P 0.5988 0.8396 0.4471 x1  4 O 1.53-1.58
P 0.6147 0.8727 0.0529 x1  4 O 1.53-1.58
P 0.7810 0.4663 0.6489 x1  4 O 1.52-1.59
P 0.8000 0.0670 0.6745 x1  4 O 1.53-1.60
P 0.9019 0.3492 0.1405 x1  4 O 1.53-1.60
O 0.0129 0.9218 0.2097 x1  1 P 1.54
O 0.0381 0.8147 0.9381 x1  1 P 1.52
O 0.0427 0.7165 0.6997 x1  1 P 1.56
O 0.0450 0.8946 0.4649 x1  1 P 1.56
O 0.0638 0.3512 0.1234 x1  1 P 1.60
O 0.0652 0.5616 0.9066 x1  1 P 1.54
O 0.0699 0.1224 0.3307 x1  1 P 1.58
O 0.1140 0.3976 0.3829 x1  1 P 1.60
O 0.1499 0.1863 0.5862 x1  1 P 1.55
O 0.1503 0.5995 0.2021 x1  1 P 1.56
O 0.1528 0.1028 0.9087 x1  1 P 1.52
O 0.2240 0.6058 0.4484 x1  1 P 1.53
O 0.2510 0.9269 0.3160 x1  1 P 1.55
O 0.2595 0.3339 0.9209 x1  1 P 1.57
O 0.2788 0.1406 0.1153 x1  1 P 1.61
O 0.3320 0.1853 0.3921 x1  1 P 1.61
O 0.3420 0.3942 0.1737 x1  1 P 1.59
O 0.3479 0.6175 0.9686 x1  1 P 1.54
O 0.3634 0.0508 0.6182 x1  1 P 1.56
O 0.3635 0.5706 0.7202 x1  1 P 1.53
O 0.3680 0.8170 0.7933 x1  1 P 1.54
O 0.3717 0.3137 0.5965 x1  1 P 1.51
O 0.4129 0.1377 0.8883 x1  1 P 1.54
O 0.4781 0.9097 0.1244 x1  1 P 1.54
O 0.5095 0.7274 0.4032 x1  1 P 1.53
O 0.5386 0.2143 0.1918 x1  1 P 1.56
O 0.5465 0.4534 0.2896 x1  1 P 1.55
O 0.5517 0.9800 0.3833 x1  1 P 1.54
O 0.5668 0.4199 0.0366 x1  1 P 1.53
O 0.5684 0.6457 0.8292 x1  1 P 1.62
O 0.5775 0.8425 0.6058 x1  1 P 1.58
O 0.6051 0.9011 0.8945 x1  1 P 1.58
O 0.6422 0.7163 0.0843 x1  1 P 1.57
O 0.6496 0.1018 0.7045 x1  1 P 1.53
O 0.6656 0.4272 0.5631 x1  1 P 1.52
O 0.7290 0.9603 0.0960 x1  1 P 1.53
O 0.7522 0.8205 0.4075 x1  1 P 1.55
O 0.7566 0.4340 0.8051 x1  1 P 1.57
O 0.7965 0.6256 0.6194 x1  1 P 1.59
O 0.8259 0.9065 0.6673 x1  1 P 1.60
O 0.8384 0.6924 0.8702 x1  1 P 1.62
~~~
One atom of each set of equivalent atoms:
One atom of each set of equivalent atoms: